Vital work, paltry wages: women’s work in America

Women stuck in low-wage jobs struggle to make ends meet
Patricia is a home care aide in Chicago. She shared her story with Oxfam as part of our research on gender segregation in the US workforce. The resulting report, Undervalued and underpaid, explores challenges facing women who are stuck in “low-wage women’s work” jobs, such as cooking, cleaning, caring for children and the elderly.
As a home care aide, I get to perform tasks for people that they can no longer do for themselves. I cook, clean house, do laundry, and go shopping.
It’s very emotionally satisfying to care for people —I’m helping them stay in their homes instead of moving into a nursing home. In Illinois, home care aides save taxpayers over $600 million every year. Once my clients move into nursing homes, it becomes much more expensive for everyone.
I had one client who was developmentally challenged. When family members moved the individual into the apartment, the belongings had been dumped into about a dozen plastic tubs where they sat until I came along four years later. It was a tough situation, but the individual really wanted to live alone in the apartment and not an assisted living apartment or a group home. I cleaned and sanitized the apartment, then coached the individual in sorting through all the papers that the apartment management demanded be removed. We established a few simple rules. Verbal prompts and discussions reminded my client about the reasons for the rules, helped to develop better habits and a cleaner apartment. My client was able to stay in the apartment. It was very satisfying.
Most of the clients at my agency are elderly; the assignments come from the Department on Aging. My mother is my first client each day. Then around 9, I call the office to see if I can do a fill-in for a home care aide who can’t work that day. Because I finish my mother by 10, I can often get a second morning client. It’s very tiring; I used to work full time hours with regular clients, but I really can’t anymore. Doing fill-ins gives me the flexibility to not work when I’m not feeling well. My job doesn’t offer sick days.
I do a lot of chores, and I remind people to take their medications. I can unscrew the cap for them (which they’re often unable to do), but I can’t give them the medication. Home care aides don’t do medical tasks.
This is a tough job that takes an emotional toll. Several of my clients have gone to hospitals and nursing homes and died. One didn’t answer my knock and when the building engineer opened the door, we found her on the floor dead. Sometimes home care aides are verbally abused by clients, family members, and supervisors.
I make $10.55 an hour. I make this much because it’s a union job and because the Chicago minimum wage went up to $10.50 this year. I get a contract raise of 10 cents an hour every year. However, it’s hardly enough. To sustain a family in Chicago, they say you need to make $22 an hour.

Home care aides deserve higher pay; that’s why we’re fighting for $15 an hour. I often worry about not having enough money to pay all my bills. I live on a bare bones budget – I rarely eat out and I can’t afford to go to the movies.
My employer doesn’t give us paid sick time, although my union has negotiated holiday and vacation pay based on the number of hours we work. But since I work fewer hours now, it will be a long time before I get any vacation – if ever. I might always have to work, I can’t see a day when I’ll be able to survive on Social Security alone.
~~~
First-principles (PBE) data for a geometry-optimized PPdBrO2 structure, as listed in Alexandria.

a = 3.7093 Å, b = 3.7093 Å, c = 5.5454 Å
α = 90.00°, β = 90.00°, γ = 90.00°
Positions (direct):
P (0.0000, 0.0000, 0.0000)
Pd (0.5000, 0.5000, 0.0000)
Br (0.0000, 0.0000, 0.5000)
O (0.0000, 0.5000, 0.5000)
O (0.5000, 0.0000, 0.5000)

## Properties
Its calculated total energy is -3.71 eV/atom. The value obtained for the relative energy among the computed polymorphs is 374.0 meV per atom. As for the space group: No. 123. As for the formation energy without anion corrections: 0.73 eV/atom.

First-principles (PBE) data for a geometry-optimized Rb3NpO4 structure, as listed in Alexandria.

a = 6.9295 Å, b = 7.8741 Å, c = 6.3725 Å
α = 90.00°, β = 108.68°, γ = 90.00°
Positions (direct):
Rb (0.0000, 0.1124, 0.2500)
Rb (0.0000, 0.8876, 0.7500)
Rb (0.5000, 0.1424, 0.7500)
Rb (0.5000, 0.3815, 0.2500)
Rb (0.5000, 0.6185, 0.7500)
Rb (0.5000, 0.8576, 0.2500)
Np (0.0000, 0.3931, 0.7500)
Np (0.0000, 0.6069, 0.2500)
O (0.1710, 0.4169, 0.4873)
O (0.1710, 0.5831, 0.9873)
O (0.1972, 0.2073, 0.9237)
O (0.1972, 0.7927, 0.4237)
O (0.8028, 0.2073, 0.5763)
O (0.8028, 0.7927, 0.0763)
O (0.8290, 0.4169, 0.0127)
O (0.8290, 0.5831, 0.5127)

## Properties
Its calculated total energy is -6.59 eV/atom. The value obtained for the relative energy among the computed polymorphs is 0.0 meV per atom. As for the space group: No. 13. As for the formation energy without anion corrections: -2.13 eV/atom.

First-principles (PBE) data for a geometry-optimized HoTl7 structure, as listed in Alexandria.

a = 6.8811 Å, b = 6.8811 Å, c = 6.8811 Å
α = 60.00°, β = 60.00°, γ = 60.00°
Positions (direct):
Ho (0.0000, 0.0000, 0.0000)
Tl (0.0000, 0.0000, 0.5000)
Tl (0.0000, 0.5000, 0.0000)
Tl (0.0000, 0.5000, 0.5000)
Tl (0.5000, 0.0000, 0.0000)
Tl (0.5000, 0.0000, 0.5000)
Tl (0.5000, 0.5000, 0.0000)
Tl (0.5000, 0.5000, 0.5000)

## Properties
Its calculated total energy is -2.71 eV/atom. As for the space group: No. 225.

First-principles (PBE) data for a geometry-optimized DyZn2Pt8 structure, as listed in Alexandria.

a = 5.2851 Å, b = 5.2851 Å, c = 8.1686 Å
α = 90.00°, β = 90.00°, γ = 90.00°
Positions (direct):
Dy (0.0000, 0.0000, 0.0000)
Zn (0.0000, 0.5000, 0.5000)
Zn (0.5000, 0.0000, 0.5000)
Pt (0.2531, 0.2531, 0.2688)
Pt (0.2531, 0.2531, 0.7312)
Pt (0.2531, 0.7469, 0.2688)
Pt (0.2531, 0.7469, 0.7312)
Pt (0.7469, 0.2531, 0.2688)
Pt (0.7469, 0.2531, 0.7312)
Pt (0.7469, 0.7469, 0.2688)
Pt (0.7469, 0.7469, 0.7312)

## Properties
Its calculated total energy is -5.18 eV/atom. As for the space group: No. 123.

First-principles (PBE) data for a geometry-optimized Rb2Hg3Te4 structure, as listed in Alexandria.

a = 12.6650 Å, b = 7.3422 Å, c = 14.9340 Å
α = 90.00°, β = 90.00°, γ = 90.00°
Positions (direct):
Rb (0.1328, 0.1711, 0.0369)
Rb (0.1328, 0.8289, 0.5369)
Rb (0.3672, 0.3289, 0.5369)
Rb (0.3672, 0.6711, 0.0369)
Rb (0.6328, 0.3289, 0.9631)
Rb (0.6328, 0.6711, 0.4631)
Rb (0.8672, 0.1711, 0.4631)
~~~
Many of my co-workers have to watch the number of hours they work because they rely on food stamps and don’t want to disqualify by making too much money. There’s a food stamp office near my house, and I see people in scrubs, probably from home care agencies, going in and out all the time. Many of us qualify for heating assistance and Section 8 housing too. The employers pay such low wages people can’t survive, so they need public assistance. Why should taxpayers subsidize profitable companies who regularly pay bonuses to their top management?
When the economy went bad around 2008, we lost a lot of good jobs. The economy recovered, but the companies never brought the good jobs back. When people are willing to work full-time, they should be making a living wage. It’s not fair that people are working so hard and yet can’t support their families.
I think America can do better; the companies can afford to pay us $15 per hour and still do well. It’s time for America to demand that companies become good corporate citizens by offering the workforce well-paid jobs with good benefits.